Next, retype everything further down without altering anything.

/*
Entry 1:
C24H28N4O6OsSe as an isolated structure at a distorted geometry. Source: OMol25; level of theory: ωB97M-V with the def2-TZVPD basis set.

Computed properties:
Kohn-Sham gap (spin up / spin down): 4.451 / 5.719 eV
<S²>: 6.0593
HOMO (spin up / spin down): -11.455 / -14.008 eV

Geometry as ORCA input:
```
! RIJCOSX wB97M-V def2-TZVPD def2/J DEFGRID3
* xyz 2 5
Os 12.46 10.71 6.78
C 17.16 15.69 6.68
C 15.85 14.99 6.41
C 14.69 15.42 7.06
C 13.43 14.76 6.94
C 12.23 15.46 7.31
N 10.99 15.31 6.95
C 10.41 14.43 5.97
C 8.89 14.66 5.82
C 8.25 13.61 4.92
N 8.77 12.27 5.12
C 8.02 11.16 5.17
C 8.57 9.82 5.35
C 7.71 8.70 5.15
C 7.91 7.46 5.75
C 6.89 6.40 5.54
C 9.19 7.30 6.30
C 10.21 8.30 6.30
C 11.39 8.05 7.03
N 12.52 8.75 6.94
C 13.85 8.08 7.34
C 14.93 8.87 6.69
C 14.59 9.40 5.26
N 13.97 10.73 5.42
C 14.56 11.84 4.92
C 14.60 13.08 5.63
C 15.73 13.92 5.55
C 13.44 13.47 6.36
O 12.40 12.68 6.42
C 9.93 9.60 5.73
O 10.83 10.53 5.51
H 17.49 16.20 5.76
H 17.99 15.01 6.92
H 17.00 16.37 7.49
H 14.74 16.36 7.64
H 12.44 16.23 8.04
H 10.34 15.93 7.48
H 10.46 13.44 6.35
H 10.97 14.43 4.99
H 8.63 15.65 5.39
H 8.40 14.54 6.78
H 8.38 13.81 3.84
H 7.14 13.54 5.00
H 9.79 12.07 5.25
H 6.96 11.33 4.97
H 6.84 8.77 4.53
H 6.23 6.66 4.71
H 6.29 6.26 6.44
H 7.34 5.41 5.30
H 9.45 6.29 6.69
H 11.32 7.19 7.66
H 13.79 7.02 6.97
H 13.96 8.11 8.44
H 15.90 8.36 6.65
H 15.12 9.78 7.25
H 13.92 8.79 4.69
H 15.51 9.41 4.67
H 15.13 11.72 3.97
H 16.51 13.54 4.88
O 11.64 11.91 10.59
Se 12.26 10.79 9.62
O 13.54 11.21 8.45
O 11.09 10.67 8.29
O 12.59 9.40 10.42
*
```

These are the Mulliken partial charges, in e, on atoms 1 to 5:
1 Os 3.18
2 C -1.50
3 C 0.40
4 C -0.90
5 C 0.41

Entry 2:
A single C16H16ClFN2OS molecule at a distorted geometry. Source: OMol25; level of theory: ωB97M-V with the def2-TZVPD basis set.

Computed properties:
Kohn-Sham gap: 8.187 eV
Structure (SMILES): COc1ccc(Cl)cc1NC(=S)NCCc1ccc(F)cc1
ΔE to the lowest compared entry with this formula, charge and spin: 272.13 kcal/mol
HOMO: -8.133 eV

Geometry as ORCA input:
```
! RIJCOSX wB97M-V def2-TZVPD def2/J DEFGRID3
* xyz 0 1
C -0.96 -1.55 -3.04
H -0.07 -2.09 -3.67
O -0.33 -0.32 -2.49
C 0.56 -0.71 -1.56
C 1.79 -0.32 -1.93
C 2.77 -0.45 -0.87
C 2.53 -1.28 0.36
C 1.35 -1.66 0.35
C 0.23 -1.40 -0.46
N -0.91 -2.03 0.00
C -2.21 -1.13 0.25
N -2.53 -0.14 -0.59
H -1.71 -0.08 -1.25
C -3.42 0.80 -0.06
H -4.33 0.14 0.11
C -3.00 1.60 1.15
C -1.46 1.85 0.82
C -1.21 2.82 -0.19
C 0.25 3.25 -0.64
C 1.11 2.58 0.29
C 0.80 1.68 1.13
C -0.60 1.52 1.66
H -0.73 0.87 2.37
H 1.58 1.29 1.96
F 2.43 2.95 -0.38
H 0.50 3.82 -1.40
H -1.95 3.15 -0.85
H -3.53 2.68 1.05
H -3.08 1.06 2.09
H -3.67 1.25 -0.91
S -3.18 -1.88 1.28
H -0.89 -2.79 0.52
H 1.26 -2.24 1.38
Cl 3.91 -1.61 1.25
H 3.76 0.00 -1.12
H 1.93 0.65 -2.63
H -1.47 -2.23 -2.59
H -1.75 -1.15 -3.56
*
```

These are the Mulliken partial charges, in e, on atoms 1 to 5:
1 C -1.09
2 H 0.26
3 O -0.59
4 C 0.79
5 C -0.10

Entry 3:
C21H12Cl5F6N6O2OsS as an isolated structure. Source: OMol25; level of theory: ωB97M-V with the def2-TZVPD basis set.

Computed properties:
Kohn-Sham gap (spin up / spin down): 7.551 / 5.944 eV
<S²>: 6.0239
ΔE to the lowest compared entry with this formula, charge and spin: 14.60 kcal/mol
HOMO (spin up / spin down): -11.245 / -11.283 eV

Geometry as ORCA input:
```
! RIJCOSX wB97M-V def2-TZVPD def2/J DEFGRID3
* xyz 1 5
Os -0.52 -0.26 0.05
C 0.68 0.00 4.98
N 1.64 -0.11 3.89
C 2.93 -0.59 4.01
C 3.47 -0.57 2.78
N 2.52 -0.06 1.90
C 1.39 0.21 2.62
S -0.09 0.92 2.14
C 2.76 0.09 0.50
C 4.06 -0.02 0.01
C 4.27 0.09 -1.35
C 3.19 0.30 -2.19
C 1.94 0.41 -1.63
N 1.72 0.30 -0.31
H 1.18 -0.29 5.90
H -0.16 -0.66 4.79
H 0.32 1.03 5.06
H 3.33 -0.91 4.95
H 4.45 -0.89 2.48
H 4.90 -0.16 0.67
H 5.27 0.00 -1.74
H 3.31 0.39 -3.26
H 1.07 0.60 -2.24
Cl -3.21 6.91 -0.34
C -2.67 5.29 -0.35
C -1.35 4.99 -0.66
Cl -0.25 6.25 -1.04
C -0.91 3.67 -0.67
Cl 0.72 3.30 -1.07
C -1.79 2.63 -0.38
O -1.44 1.35 -0.41
C -3.12 2.94 -0.04
Cl -4.16 1.65 0.43
C -3.56 4.26 -0.03
Cl -5.18 4.61 0.39
*/

Entry 1:
C24H28N4O6OsSe as an isolated structure at a distorted geometry. Source: OMol25; level of theory: ωB97M-V with the def2-TZVPD basis set.

Computed properties:
Kohn-Sham gap (spin up / spin down): 4.451 / 5.719 eV
<S²>: 6.0593
HOMO (spin up / spin down): -11.455 / -14.008 eV

Geometry as ORCA input:
```
! RIJCOSX wB97M-V def2-TZVPD def2/J DEFGRID3
* xyz 2 5
Os 12.46 10.71 6.78
C 17.16 15.69 6.68
C 15.85 14.99 6.41
C 14.69 15.42 7.06
C 13.43 14.76 6.94
C 12.23 15.46 7.31
N 10.99 15.31 6.95
C 10.41 14.43 5.97
C 8.89 14.66 5.82
C 8.25 13.61 4.92
N 8.77 12.27 5.12
C 8.02 11.16 5.17
C 8.57 9.82 5.35
C 7.71 8.70 5.15
C 7.91 7.46 5.75
C 6.89 6.40 5.54
C 9.19 7.30 6.30
C 10.21 8.30 6.30
C 11.39 8.05 7.03
N 12.52 8.75 6.94
C 13.85 8.08 7.34
C 14.93 8.87 6.69
C 14.59 9.40 5.26
N 13.97 10.73 5.42
C 14.56 11.84 4.92
C 14.60 13.08 5.63
C 15.73 13.92 5.55
C 13.44 13.47 6.36
O 12.40 12.68 6.42
C 9.93 9.60 5.73
O 10.83 10.53 5.51
H 17.49 16.20 5.76
H 17.99 15.01 6.92
H 17.00 16.37 7.49
H 14.74 16.36 7.64
H 12.44 16.23 8.04
H 10.34 15.93 7.48
H 10.46 13.44 6.35
H 10.97 14.43 4.99
H 8.63 15.65 5.39
H 8.40 14.54 6.78
H 8.38 13.81 3.84
H 7.14 13.54 5.00
H 9.79 12.07 5.25
H 6.96 11.33 4.97
H 6.84 8.77 4.53
H 6.23 6.66 4.71
H 6.29 6.26 6.44
H 7.34 5.41 5.30
H 9.45 6.29 6.69
H 11.32 7.19 7.66
H 13.79 7.02 6.97
H 13.96 8.11 8.44
H 15.90 8.36 6.65
H 15.12 9.78 7.25
H 13.92 8.79 4.69
H 15.51 9.41 4.67
H 15.13 11.72 3.97
H 16.51 13.54 4.88
O 11.64 11.91 10.59
Se 12.26 10.79 9.62
O 13.54 11.21 8.45
O 11.09 10.67 8.29
O 12.59 9.40 10.42
*
```

These are the Mulliken partial charges, in e, on atoms 1 to 5:
1 Os 3.18
2 C -1.50
3 C 0.40
4 C -0.90
5 C 0.41

Entry 2:
A single C16H16ClFN2OS molecule at a distorted geometry. Source: OMol25; level of theory: ωB97M-V with the def2-TZVPD basis set.

Computed properties:
Kohn-Sham gap: 8.187 eV
Structure (SMILES): COc1ccc(Cl)cc1NC(=S)NCCc1ccc(F)cc1
ΔE to the lowest compared entry with this formula, charge and spin: 272.13 kcal/mol
HOMO: -8.133 eV

Geometry as ORCA input:
```
! RIJCOSX wB97M-V def2-TZVPD def2/J DEFGRID3
* xyz 0 1
C -0.96 -1.55 -3.04
H -0.07 -2.09 -3.67
O -0.33 -0.32 -2.49
C 0.56 -0.71 -1.56
C 1.79 -0.32 -1.93
C 2.77 -0.45 -0.87
C 2.53 -1.28 0.36
C 1.35 -1.66 0.35
C 0.23 -1.40 -0.46
N -0.91 -2.03 0.00
C -2.21 -1.13 0.25
N -2.53 -0.14 -0.59
H -1.71 -0.08 -1.25
C -3.42 0.80 -0.06
H -4.33 0.14 0.11
C -3.00 1.60 1.15
C -1.46 1.85 0.82
C -1.21 2.82 -0.19
C 0.25 3.25 -0.64
C 1.11 2.58 0.29
C 0.80 1.68 1.13
C -0.60 1.52 1.66
H -0.73 0.87 2.37
H 1.58 1.29 1.96
F 2.43 2.95 -0.38
H 0.50 3.82 -1.40
H -1.95 3.15 -0.85
H -3.53 2.68 1.05
H -3.08 1.06 2.09
H -3.67 1.25 -0.91
S -3.18 -1.88 1.28
H -0.89 -2.79 0.52
H 1.26 -2.24 1.38
Cl 3.91 -1.61 1.25
H 3.76 0.00 -1.12
H 1.93 0.65 -2.63
H -1.47 -2.23 -2.59
H -1.75 -1.15 -3.56
*
```

These are the Mulliken partial charges, in e, on atoms 1 to 5:
1 C -1.09
2 H 0.26
3 O -0.59
4 C 0.79
5 C -0.10

Entry 3:
C21H12Cl5F6N6O2OsS as an isolated structure. Source: OMol25; level of theory: ωB97M-V with the def2-TZVPD basis set.

Computed properties:
Kohn-Sham gap (spin up / spin down): 7.551 / 5.944 eV
<S²>: 6.0239
ΔE to the lowest compared entry with this formula, charge and spin: 14.60 kcal/mol
HOMO (spin up / spin down): -11.245 / -11.283 eV

Geometry as ORCA input:
```
! RIJCOSX wB97M-V def2-TZVPD def2/J DEFGRID3
* xyz 1 5
Os -0.52 -0.26 0.05
C 0.68 0.00 4.98
N 1.64 -0.11 3.89
C 2.93 -0.59 4.01
C 3.47 -0.57 2.78
N 2.52 -0.06 1.90
C 1.39 0.21 2.62
S -0.09 0.92 2.14
C 2.76 0.09 0.50
C 4.06 -0.02 0.01
C 4.27 0.09 -1.35
C 3.19 0.30 -2.19
C 1.94 0.41 -1.63
N 1.72 0.30 -0.31
H 1.18 -0.29 5.90
H -0.16 -0.66 4.79
H 0.32 1.03 5.06
H 3.33 -0.91 4.95
H 4.45 -0.89 2.48
H 4.90 -0.16 0.67
H 5.27 0.00 -1.74
H 3.31 0.39 -3.26
H 1.07 0.60 -2.24
Cl -3.21 6.91 -0.34
C -2.67 5.29 -0.35
C -1.35 4.99 -0.66
Cl -0.25 6.25 -1.04
C -0.91 3.67 -0.67
Cl 0.72 3.30 -1.07
C -1.79 2.63 -0.38
O -1.44 1.35 -0.41
C -3.12 2.94 -0.04
Cl -4.16 1.65 0.43
C -3.56 4.26 -0.03
Cl -5.18 4.61 0.39